How to set environment variable in systemd service?

I have an Arch Linux system with systemd and I've created my own service. The configuration service at /etc/systemd/system/myservice.service looks like this:

Description=My Daemon



Now I want to have an environment variable set for the /bin/myforegroundcmd. How do I do that?

Times change and so do best practices.

The current best way to do this is to run systemctl edit myservice, which will create an override file for you or let you edit an existing one.

In normal installations this will create a directory /etc/systemd/system/myservice.service.d, and inside that directory create a file whose name ends in .conf (typically, override.conf), and in this file you can add to or override any part of the unit shipped by the distribution.

For instance, in a file /etc/systemd/system/myservice.service.d/myenv.conf:


Also note that if the directory exists and is empty, your service will be disabled! If you don't intend to put something in the directory, ensure that it does not exist.

For reference, the old way was:

The recommended way to do this is to create a file /etc/sysconfig/myservice which contains your variables, and then load them with EnvironmentFile.

(Records of crystals, kept here for reference)
Record 1
Entry from the Alexandria database: Ta2AlPb after structural relaxation (GGA-PBE).

Lattice parameters (Å, degrees): 3.0252 3.0252 8.4481 90.00 90.00 90.00
Sites, in units of the cell vectors:
Ta: 0.0000 0.0000 0.0304
Pb: 0.5000 0.5000 0.7500
Ta: 0.0000 0.0000 0.4696
Al: 0.5000 0.5000 0.2500

Properties
- ΔH_f (0 K) (eV per atom) = 0.32

=====

Record 2
Entry from the Alexandria database: Pm4Pr2Dy2Y after structural relaxation (GGA-PBE).

Lattice parameters (Å, degrees): 5.1471 8.1415 8.1048 107.58 90.00 108.43
Sites, in units of the cell vectors:
Dy: 0.6667 0.3335 0.0003
Pm: 0.7783 0.5567 0.6692
Pr: 0.1119 0.2238 0.6687
Pm: 0.4442 0.8885 0.6686
Y: 0.0000 0.0000 0.0000
Pm: 0.5558 0.1115 0.3314
Dy: 0.3333 0.6665 0.9997
Pr: 0.8881 0.7762 0.3313
Pm: 0.2217 0.4433 0.3308

Properties
- ΔH_f (0 K) (eV per atom) = 0.02

=====

Record 3
Entry from the Alexandria database: BaSrO2 after structural relaxation (GGA-PBE).

Lattice parameters (Å, degrees): 3.7358 3.7358 6.8941 74.28 74.28 60.00
Sites, in units of the cell vectors:
O: 0.2463 0.2463 0.2611
O: 0.0873 0.0873 0.7381
Sr: 0.4988 0.4988 0.5035
Ba: 0.6676 0.6676 0.9973

Properties
- formation energy (no corrections) (eV per atom) = -2.4528
- distance to the lowest polymorph of the same formula (eV per formula unit) = 0.49

=====

Record 4
Entry from the Alexandria database: La7Sm12Mg after structural relaxation (GGA-PBE).

Lattice parameters (Å, degrees): 10.0013 10.0013 10.0013 109.47 109.47 109.47
Sites, in units of the cell vectors:
Sm: 0.4905 0.2450 0.2455
La: 0.5000 0.5000 0.5000
Sm: 0.7545 0.9996 0.2450
La: 0.5000 0.0000 0.0000
Sm: 0.0004 0.7550 0.2455
Sm: 0.9996 0.2450 0.7545
Sm: 0.7550 0.7545 0.5095
Mg: 0.0000 0.0000 0.0000
La: 0.5000 0.5000 0.0000
Sm: 0.7550 0.2455 0.0004
Sm: 0.7545 0.5095 0.7550
Sm: 0.2455 0.0004 0.7550
La: 0.0000 0.5000 0.5000
Sm: 0.2455 0.4905 0.2450
Sm: 0.2450 0.2455 0.4905
La: 0.5000 0.0000 0.5000
Sm: 0.5095 0.7550 0.7545
Sm: 0.2450 0.7545 0.9996
La: 0.0000 0.5000 0.0000
La: 0.0000 0.0000 0.5000

Properties
- ΔH_f (0 K) (eV per atom) = 0.59

=====

Record 5
Entry from the Alexandria database: Pm3Al2Au3 after structural relaxation (GGA-PBE).

Lattice parameters (Å, degrees): 4.5245 5.9392 15.0183 90.00 90.00 112.39
Sites, in units of the cell vectors:
Au: 0.3818 0.7637 0.5449
Pm: 0.9149 0.8299 0.1057
Au: 0.3818 0.7637 0.9551
Al: 0.7900 0.5800 0.5958
Au: 0.6182 0.2363 0.0449
Pm: 0.9149 0.8299 0.3943
Al: 0.2100 0.4200 0.4042
Pm: 0.3865 0.7729 0.7500
Pm: 0.0851 0.1701 0.8943
Au: 0.3278 0.6555 0.2500
Al: 0.2100 0.4200 0.0958
Al: 0.7900 0.5800 0.9042
Au: 0.6722 0.3445 0.7500
Pm: 0.6135 0.2271 0.2500
Au: 0.6182 0.2363 0.4551
Pm: 0.0851 0.1701 0.6057

Properties
- ΔH_f (0 K) (eV per atom) = -0.74

=====

Record 6
Entry from the Alexandria database: EuZnGaAu after structural relaxation (GGA-PBE).

Lattice parameters (Å, degrees): 4.9191 4.9191 4.9191 60.00 60.00 60.00
Sites, in units of the cell vectors:
Au: 0.0000 0.0000 0.0000
Eu: 0.7500 0.7500 0.7500

For complete details, see Fedora's documentation on how to write a systemd script.

The answer depends on whether the variable is supposed to be constant (that is, not supposed to be modified by user getting the unit) or variable (supposed to be set by the user).

Since it's your local unit, the boundary is quite blurry and either way would work. However, if you started to distribute it and it would end up in /usr/lib/systemd/system, this would become important.

Constant value

If the value doesn't need to change per instance, the preferred way would be to place it as Environment=, directly in the unit file:

Description=My Daemon

Environment="FOO=bar baz"


The advantage of that is that the variable is kept in a single file with the unit. Therefore, the unit file is easier to move between systems.

Variable value

However, the above solution doesn't work well when sysadmin is supposed to change the value of the environment variable locally. More specifically, the new value would need to be set every time the unit file is updated.

For this case, an extra file is to be used. How — usually depends on the distribution policy.

One particularly interesting solution is to use /etc/systemd/system/myservice.service.d directory. Unlike other solutions, this directory is supported by systemd itself and therefore comes with no distribution-specific paths.

In this case, you place a file like /etc/systemd/system/myservice.service.d/local.conf that adds the missing parts of unit file:

Environment="FOO=bar baz"

Afterwards, systemd merges the two files when starting the service (remember to systemctl daemon-reload after changing either of them). And since this path is used directly by systemd, you don't use EnvironmentFile= for this.

If the value is supposed to be changed only on some of the affected systems, you may combine both solutions, providing a default directly in the unit and a local override in the other file.